
topicnews · August 26, 2024

What is the status of the investigation into the assassination attempt on former President Donald Trump?

What is the status of the investigation into the assassination attempt on former President Donald Trump?

August 26 – Nearly eight weeks have passed since a 20-year-old man climbed onto a roof at a Donald Trump rally in Butler, Pennsylvania, and shot the former president, wounding him in the ear.

Inserted here: calculated crystals:
+++
The following is a PBE+U calculation of a relaxed LaB2WO8 crystal, from the Alexandria database.

Lattice parameters (Å, degrees): 4.9729 4.9729 6.7474 90.00 90.00 120.00
Space group P-3m1 (No. 164)
One atom of each set of equivalent atoms:
1 La 0.0000 0.0000 0.0000 x1
2 B 0.3333 0.6667 0.2467 x2
3 W 0.0000 0.0000 0.5000 x1
4 O 0.1731 0.3462 0.3203 x6
5 O 0.3333 0.6667 0.0312 x2

Calculated values
Calculated total energy = -92.63 eV/cell

~~~~~

3
Lattice="0.0000 3.1628 3.1628 3.1628 0.0000 3.1628 3.1628 3.1628 0.0000" Properties=species:S:1:pos:R:3 comment="GaSbPd | the Open Quantum Materials Database | GGA-PBE | relaxed" crystal_system=cubic e_above_lowest_polymorph_mev_per_atom=0 pbc="T T T"
Ga 0.0000 0.0000 0.0000
Sb 3.1628 3.1628 3.1628
Pd 1.5814 1.5814 1.5814

~~~~~

1.
! FeP6W3O24 (PBE with a Hubbard U, relaxed); values from VASP
! Space group: R3
! DOS at the Fermi energy (states/eV/f.u.): 0.00
! Total energy (eV per atom): -7.377
! Total magnetization (μB per formula unit): 8.00
! Theoretical density (g/cm³): 4.01
&SYSTEM
  ibrav = 0, nat = 34, ntyp = 4
/
ATOMIC_SPECIES
Fe 55.84 Fe.upf
P 30.97 P.upf
W 183.84 W.upf
O 16.00 O.upf
CELL_PARAMETERS angstrom
-7.412 -4.820 -1.034
0.402 -8.680 -1.932
-2.349 -6.149 5.992
ATOMIC_POSITIONS angstrom
Fe -8.033 -16.866 2.597
P -1.833 -8.856 3.550
P -3.261 -8.988 -1.724
P -6.647 -6.806 1.970
P -2.711 -12.863 1.123
P -6.166 -10.662 4.730
P -7.494 -10.844 -0.561
W -1.339 -2.810 0.433
W -3.346 -7.025 1.082
W -6.008 -12.615 1.942
O -1.422 -6.784 0.685
O -3.333 -5.600 2.456
O -2.455 -8.502 4.932
O -3.890 -5.766 -0.346
O -2.822 -8.327 2.478
O -1.618 -10.325 3.332
O -1.926 -9.786 -1.774
O -3.406 -8.472 -0.268
O -5.258 -7.317 1.503
O -2.150 -11.917 0.019
O -1.813 -12.966 2.319
O -4.914 -9.817 5.112
O -4.474 -9.798 -2.078
O -7.537 -6.734 0.695
O -7.172 -7.725 3.034
O -4.111 -12.289 1.466
O -5.883 -11.164 3.289
O -7.448 -9.894 4.840
O -7.726 -9.318 -0.350
O -6.543 -11.265 0.591
O -5.393 -13.910 3.329
O -6.949 -11.172 -1.918
O -6.092 -14.010 0.519
O -7.930 -12.840 2.428

2.
! FePWO2 (PBE with a Hubbard U, relaxed); values from VASP
! Space group: P4/mmm
! DOS at the Fermi energy (states/eV/f.u.): 1.14
! Total energy (eV per atom): -5.706
! Total magnetization (μB per formula unit): 7.06
! Theoretical density (g/cm³): 7.03
! Polymorph energy (0 for the lowest one) (meV/atom): 536
&SYSTEM
  ibrav = 0, nat = 5, ntyp = 4
/
ATOMIC_SPECIES
O 16.00 O.upf
P 30.97 P.upf
Fe 55.84 Fe.upf
W 183.84 W.upf
CELL_PARAMETERS angstrom
3.772 0.000 0.000
0.000 3.772 0.000
0.000 0.000 5.022
ATOMIC_POSITIONS angstrom
O 0.000 1.886 0.000
O 1.886 0.000 0.000
P 0.000 0.000 2.511
Fe 0.000 0.000 0.000
W 1.886 1.886 2.511

3.
! FeP2WO8 (PBE with a Hubbard U, relaxed); values from VASP
! Space group: P2_1/m
! DOS at the Fermi energy (states/eV/f.u.): 0.00
! Total energy (eV per atom): -7.320
! Total magnetization (μB per formula unit): 5.96
! Theoretical density (g/cm³): 4.67
&SYSTEM
  ibrav = 0, nat = 24, ntyp = 4
/
ATOMIC_SPECIES
+++

One man lost his life while protecting his family and two others were injured.

The shooter was killed by the secret service.

These facts are pretty much all we know, eight weeks later. Some intelligence agents have been placed on leave and the director has resigned.

But that’s it. That’s all that happened.

What’s up?

Pat Ryan of NewsTalk 103.7FM stressed: “I am still very disappointed, particularly by one of our casual listeners, a doctor of philosophy, who told me it’s over, it’s done, let’s move on. Over my dead body, and thank God we don’t have a former president here in that condition as well.”

Ryan Schmelz of Fox News reported: “The bipartisan task force investigating the attempted assassination of former President Trump will visit the Pennsylvania site where the shooting took place. More than 10 lawmakers will meet with officials and get a tour of the site. Back in Washington, a counter-forum will be held, attended by a group of lawmakers not on the task force. Two of them are war veterans, Cory Mills of Florida and Eli Crane of Arizona, both Republicans who pushed for inclusion on the task force and expressed frustration at not being selected.”

Attorney Clint Barkdoll said, “The task force is a bipartisan task force. They’re going to tour the facility today. They’re going to be on site and look at where all this happened. But there’s a lot of internal wrangling now, mainly within the Republican caucus in the House. They control the House. There are key Republican congressmen there who say we should have been on that task force. We wanted to be on it. We weren’t appointed. Now they’re forming their own counter task force to do another parallel investigation. I think that’s problematic. As I’ve said from the beginning, there are up to seven, eight, nine different investigations, they’re just flooding the zone with information and the bottom line is nothing is getting accomplished. At some point, in the fall or winter, they’re going to release all the reports. It’s all going to get lost in the shuffle and you’re not hearing anything about what’s really going on in this investigation. Think about the shooter. We haven’t heard from him in weeks now. Where is the investigation into his motives, into what he did in the days and weeks before the incident? Do the authorities have any suspicions about what happened? We hear nothing about that.”

Ryan insisted, “It’s ridiculous, outrageous and disappointing why neither side is coming out more passionately, because if this were happening on the other side, they would lose their minds. The mainstream media and everyone covering this is lying to you and covering for you. There are way more questions than answers, and you on the left should be just as angry about this as we are on the other side of the aisle.”